Assignment:
It remains to restate everything below without additions.
Source:
/*
Entry 1:
A plane-wave DFT calculation with meta-GGA r2SCAN was carried out for a relaxed UBiTe crystal.

As for the formation energy: -2.505 eV per formula unit.

The space group is P4/nmm (No. 129, origin choice 2) and the conventional cell measures 4.4502, 4.4502 and 9.4013 Å, with angles of 90.00, 90.00 and 90.00 degrees. The inequivalent atoms are U at (0.2500, 0.2500, 0.2201), Bi at (0.2500, 0.7500, 0.5000) and Te at (0.2500, 0.2500, 0.8720).

---

Entry 2:
A plane-wave DFT calculation with meta-GGA r2SCAN was carried out for a relaxed TiMo3 crystal.

As for the formation energy: -0.538 eV per formula unit.

The space group is Immm (No. 71) and the conventional cell measures 3.1652, 4.4210 and 8.9502 Å, with angles of 90.00, 90.00 and 90.00 degrees. The inequivalent atoms are Ti at (0.0000, 0.0000, 0.0000), Mo at (0.0000, 0.0000, 0.5000) and Mo at (0.0000, 0.5000, 0.2434).

---

Entry 3:
A plane-wave DFT calculation with meta-GGA r2SCAN was carried out for a relaxed Sr3Sn2As4 crystal.

As for the formation energy: -8.660 eV per formula unit.

The space group is P2_1/c (No. 14) and the conventional cell measures 7.7648, 19.3222 and 7.7635 Å, with angles of 90.00, 111.98 and 90.00 degrees. The inequivalent atoms are Sr at (0.2114, 0.1823, 0.0096), Sr at (0.2586, 0.0601, 0.5110), Sr at (0.2632, 0.5616, 0.5050), Sn at (0.2077, 0.6226, 0.0283), Sn at (0.3214, 0.7436, 0.9101), As at (0.0038, 0.0548, 0.7582), As at (0.0250, 0.6827, 0.2220), As at (0.4749, 0.1951, 0.7727) and As at (0.4919, 0.0635, 0.2476).

---

Entry 4:
A plane-wave DFT calculation with meta-GGA r2SCAN was carried out for a relaxed TaNi3 crystal.

As for the formation energy: -1.308 eV per formula unit.

The space group is P2_1/m (No. 11) and the conventional cell measures 4.5005, 5.0776 and 8.5642 Å, with angles of 90.00, 100.88 and 90.00 degrees. The inequivalent atoms are Ta at (0.1125, 0.2500, 0.3782), Ta at (0.2895, 0.2500, 0.8725), Ni at (0.1342, 0.7500, 0.3762), Ni at (0.2058, 0.0013, 0.1232), Ni at (0.2979, 0.7500, 0.8734) and Ni at (0.3859, 0.5026, 0.6267).

---

Entry 5:
A plane-wave DFT calculation with meta-GGA r2SCAN was carried out for a relaxed Dy2Ni17 crystal.

As for the formation energy: -3.515 eV per formula unit.

The space group is P6_3/mmc (No. 194) and the conventional cell measures 8.2045, 8.2045 and 7.9350 Å, with angles of 90.00, 90.00 and 120.00 degrees. The inequivalent atoms are Dy at (0.0000, 0.0000, 0.2500), Dy at (0.3333, 0.6667, 0.2500), Ni at (0.0000, 0.5000, 0.0000), Ni at (0.0445, 0.3724, 0.7500), Ni at (0.1655, 0.3311, 0.0206) and Ni at (0.3333, 0.6667, 0.6027).

---

Entry 6:
A plane-wave DFT calculation with meta-GGA r2SCAN was carried out for a relaxed MgZn2 crystal.

As for the formation energy: -0.087 eV per formula unit.

The space group is Cmcm (No. 63) and the conventional cell measures 3.0197, 14.3891 and 4.4794 Å, with angles of 90.00, 90.00 and 90.00 degrees. The inequivalent atoms are Mg at (0.0000, 0.0642, 0.2500), Zn at (0.0000, 0.2702, 0.7500) and Zn at (0.0000, 0.3817, 0.2500).

---

Entry 7:
A plane-wave DFT calculation with meta-GGA r2SCAN was carried out for a relaxed ScSnPt crystal.

As for the formation energy: -3.249 eV per formula unit.

The space group is P-62c (No. 190) and the conventional cell measures 7.3941, 7.3941 and 7.4365 Å, with angles of 90.00, 90.00 and 120.00 degrees. The inequivalent atoms are Sc at (0.0179, 0.4049, 0.2500), Sn at (0.0000, 0.7281, 0.0000), Pt at (0.0000, 0.0000, 0.2500) and Pt at (0.3333, 0.6667, 0.5360).

---

Entry 8:
A plane-wave DFT calculation with meta-GGA r2SCAN was carried out for a relaxed CrIr3 crystal.

As for the formation energy: -1.034 eV per formula unit.

The space group is Pm-3m (No. 221) and the conventional cell measures 3.8141, 3.8141 and 3.8141 Å, with angles of 90.00, 90.00 and 90.00 degrees. The inequivalent atoms are Cr at (0.0000, 0.0000, 0.0000) and Ir at (0.0000, 0.5000, 0.5000).
*/
Done:
Entry 1:
A plane-wave DFT calculation with meta-GGA r2SCAN was carried out for a relaxed UBiTe crystal.

As for the formation energy: -2.505 eV per formula unit.

The space group is P4/nmm (No. 129, origin choice 2) and the conventional cell measures 4.4502, 4.4502 and 9.4013 Å, with angles of 90.00, 90.00 and 90.00 degrees. The inequivalent atoms are U at (0.2500, 0.2500, 0.2201), Bi at (0.2500, 0.7500, 0.5000) and Te at (0.2500, 0.2500, 0.8720).

---

Entry 2:
A plane-wave DFT calculation with meta-GGA r2SCAN was carried out for a relaxed TiMo3 crystal.

As for the formation energy: -0.538 eV per formula unit.

The space group is Immm (No. 71) and the conventional cell measures 3.1652, 4.4210 and 8.9502 Å, with angles of 90.00, 90.00 and 90.00 degrees. The inequivalent atoms are Ti at (0.0000, 0.0000, 0.0000), Mo at (0.0000, 0.0000, 0.5000) and Mo at (0.0000, 0.5000, 0.2434).

---

Entry 3:
A plane-wave DFT calculation with meta-GGA r2SCAN was carried out for a relaxed Sr3Sn2As4 crystal.

As for the formation energy: -8.660 eV per formula unit.

The space group is P2_1/c (No. 14) and the conventional cell measures 7.7648, 19.3222 and 7.7635 Å, with angles of 90.00, 111.98 and 90.00 degrees. The inequivalent atoms are Sr at (0.2114, 0.1823, 0.0096), Sr at (0.2586, 0.0601, 0.5110), Sr at (0.2632, 0.5616, 0.5050), Sn at (0.2077, 0.6226, 0.0283), Sn at (0.3214, 0.7436, 0.9101), As at (0.0038, 0.0548, 0.7582), As at (0.0250, 0.6827, 0.2220), As at (0.4749, 0.1951, 0.7727) and As at (0.4919, 0.0635, 0.2476).

---

Entry 4:
A plane-wave DFT calculation with meta-GGA r2SCAN was carried out for a relaxed TaNi3 crystal.

As for the formation energy: -1.308 eV per formula unit.

The space group is P2_1/m (No. 11) and the conventional cell measures 4.5005, 5.0776 and 8.5642 Å, with angles of 90.00, 100.88 and 90.00 degrees. The inequivalent atoms are Ta at (0.1125, 0.2500, 0.3782), Ta at (0.2895, 0.2500, 0.8725), Ni at (0.1342, 0.7500, 0.3762), Ni at (0.2058, 0.0013, 0.1232), Ni at (0.2979, 0.7500, 0.8734) and Ni at (0.3859, 0.5026, 0.6267).

---

Entry 5:
A plane-wave DFT calculation with meta-GGA r2SCAN was carried out for a relaxed Dy2Ni17 crystal.

As for the formation energy: -3.515 eV per formula unit.

The space group is P6_3/mmc (No. 194) and the conventional cell measures 8.2045, 8.2045 and 7.9350 Å, with angles of 90.00, 90.00 and 120.00 degrees. The inequivalent atoms are Dy at (0.0000, 0.0000, 0.2500), Dy at (0.3333, 0.6667, 0.2500), Ni at (0.0000, 0.5000, 0.0000), Ni at (0.0445, 0.3724, 0.7500), Ni at (0.1655, 0.3311, 0.0206) and Ni at (0.3333, 0.6667, 0.6027).

---

Entry 6:
A plane-wave DFT calculation with meta-GGA r2SCAN was carried out for a relaxed MgZn2 crystal.

As for the formation energy: -0.087 eV per formula unit.

The space group is Cmcm (No. 63) and the conventional cell measures 3.0197, 14.3891 and 4.4794 Å, with angles of 90.00, 90.00 and 90.00 degrees. The inequivalent atoms are Mg at (0.0000, 0.0642, 0.2500), Zn at (0.0000, 0.2702, 0.7500) and Zn at (0.0000, 0.3817, 0.2500).

---

Entry 7:
A plane-wave DFT calculation with meta-GGA r2SCAN was carried out for a relaxed ScSnPt crystal.

As for the formation energy: -3.249 eV per formula unit.

The space group is P-62c (No. 190) and the conventional cell measures 7.3941, 7.3941 and 7.4365 Å, with angles of 90.00, 90.00 and 120.00 degrees. The inequivalent atoms are Sc at (0.0179, 0.4049, 0.2500), Sn at (0.0000, 0.7281, 0.0000), Pt at (0.0000, 0.0000, 0.2500) and Pt at (0.3333, 0.6667, 0.5360).

---

Entry 8:
A plane-wave DFT calculation with meta-GGA r2SCAN was carried out for a relaxed CrIr3 crystal.

As for the formation energy: -1.034 eV per formula unit.

The space group is Pm-3m (No. 221) and the conventional cell measures 3.8141, 3.8141 and 3.8141 Å, with angles of 90.00, 90.00 and 90.00 degrees. The inequivalent atoms are Cr at (0.0000, 0.0000, 0.0000) and Ir at (0.0000, 0.5000, 0.5000).